1.
An optimized crystal structure of BaV3Si. Source: the Alexandria database, functional PBE.

Calculated values
The formation energy (no corrections) comes out at 0.80 eV/atom. The calculation puts the relative energy among the computed polymorphs at 0.0000 eV/atom.

```
BaV3Si
1.0
-1.624 -2.688 -3.790
4.640 -1.156 -1.167
-0.253 -3.957 2.916
Si Ba V
1 1 3
Direct
0.000 0.000 0.000 Si
0.500 0.500 0.500 Ba
0.000 0.500 0.000 V
0.000 0.000 0.500 V
0.500 0.000 0.000 V
```

=====

2.
An optimized crystal structure of Na2AgCl4. Source: the Alexandria database, functional PBE.

Calculated values
The formation energy (no corrections) comes out at -1.17 eV/atom. The calculation puts the relative energy among the computed polymorphs at 0.0000 eV/atom.

```
Na2AgCl4
1.0
-0.456 6.806 -0.908
-1.548 -1.111 -7.546
-12.886 -0.501 2.717
Na Ag Cl
8 4 16
Direct
0.994 0.885 0.856 Na
0.494 0.615 0.144 Na
0.006 0.385 0.644 Na
0.506 0.115 0.356 Na
0.006 0.115 0.144 Na
0.506 0.385 0.856 Na
0.994 0.615 0.356 Na
0.494 0.885 0.644 Na
0.000 0.000 0.500 Ag
0.500 0.500 0.500 Ag
0.000 0.500 0.000 Ag
0.500 0.000 0.000 Ag
0.797 0.661 0.553 Cl
0.297 0.839 0.447 Cl
0.203 0.161 0.947 Cl
0.703 0.339 0.053 Cl
0.203 0.339 0.447 Cl
0.703 0.161 0.553 Cl
0.797 0.839 0.053 Cl
0.297 0.661 0.947 Cl
0.132 0.039 0.675 Cl
0.632 0.461 0.325 Cl
0.868 0.539 0.825 Cl
0.368 0.961 0.175 Cl
0.868 0.961 0.325 Cl
0.368 0.539 0.675 Cl
0.132 0.461 0.175 Cl
0.632 0.039 0.825 Cl
```

=====

3.
An optimized crystal structure of ScGeRu2. Source: the Alexandria database, functional PBE.

Calculated values
The formation energy is -0.5504 eV per atom.

```
ScGeRu2
1.0
-0.898 3.049 -0.186
-0.921 -0.013 4.233
4.053 1.248 0.886
Sc Ru Ge
1 2 1
Direct
0.500 0.500 0.500 Sc
0.000 0.000 0.500 Ru
0.000 0.500 0.000 Ru
0.500 0.000 0.000 Ge
```

=====

4.
An optimized crystal structure of Nd6InCo2Br3. Source: the Alexandria database, functional PBE.

Calculated values
The formation energy (no corrections) comes out at -0.73 eV/atom.

```
Nd6InCo2Br3
1.0
-1.799 -2.763 2.289
8.208 -2.550 3.371
-2.752 8.712 4.836
Nd In Co Br
6 1 2 3
Direct
0.333 0.859 0.666 Nd
0.686 0.570 0.371 Nd
0.667 0.141 0.334 Nd
0.038 0.277 0.076 Nd
0.962 0.723 0.924 Nd
0.314 0.430 0.629 Nd
0.500 0.000 0.000 In
0.826 0.649 0.652 Co
0.174 0.351 0.348 Co
0.500 0.500 0.000 Br
0.829 0.155 0.658 Br
0.171 0.845 0.342 Br
```

=====

no.,uncorrected energy (eV per atom)
1,-6.14
2,-3.01
3,-7.93
4,-4.94

* * * * *

# CrNiPb2 | Alexandria | PBEsol | relaxed
data_CrNiPb2
_chemical_formula_sum 'Cr2 Ni2 Pb4'
_symmetry_space_group_name_H-M 'C 1 2/m 1'
_symmetry_Int_Tables_number 12
_cell_length_a 8.259
_cell_length_b 3.359
_cell_length_c 5.871
_cell_angle_alpha 90.00
_cell_angle_beta 103.92
_cell_angle_gamma 90.00
loop_
_symmetry_equiv_pos_as_xyz
'x,y,z'
'-x,-y,-z'
'-x,y,-z'
'x,-y,z'
'x+1/2,y+1/2,z'
'-x+1/2,-y+1/2,-z'
'-x+1/2,y+1/2,-z'
'x+1/2,-y+1/2,z'
loop_
_atom_site_label
_atom_site_type_symbol
_atom_site_fract_x
_atom_site_fract_y
_atom_site_fract_z
_atom_site_occupancy
Cr1 Cr 0.000 0.000 0.000 1
Ni1 Ni 0.000 0.500 0.500 1
Pb1 Pb 0.239 0.000 0.729 1
# uncorrected energy	-44.4	eV/cell
# M_tot	7.9	Bohr magnetons per cell
# mass density	11.031	g cm⁻³
# calculated formation energy	0.5489	eV per atom

Repeat everything above with every line break kept, please.

1.
An optimized crystal structure of BaV3Si. Source: the Alexandria database, functional PBE.

Calculated values
The formation energy (no corrections) comes out at 0.80 eV/atom. The calculation puts the relative energy among the computed polymorphs at 0.0000 eV/atom.

```
BaV3Si
1.0
-1.624 -2.688 -3.790
4.640 -1.156 -1.167
-0.253 -3.957 2.916
Si Ba V
1 1 3
Direct
0.000 0.000 0.000 Si
0.500 0.500 0.500 Ba
0.000 0.500 0.000 V
0.000 0.000 0.500 V
0.500 0.000 0.000 V
```

=====

2.
An optimized crystal structure of Na2AgCl4. Source: the Alexandria database, functional PBE.

Calculated values
The formation energy (no corrections) comes out at -1.17 eV/atom. The calculation puts the relative energy among the computed polymorphs at 0.0000 eV/atom.

```
Na2AgCl4
1.0
-0.456 6.806 -0.908
-1.548 -1.111 -7.546
-12.886 -0.501 2.717
Na Ag Cl
8 4 16
Direct
0.994 0.885 0.856 Na
0.494 0.615 0.144 Na
0.006 0.385 0.644 Na
0.506 0.115 0.356 Na
0.006 0.115 0.144 Na
0.506 0.385 0.856 Na
0.994 0.615 0.356 Na
0.494 0.885 0.644 Na
0.000 0.000 0.500 Ag
0.500 0.500 0.500 Ag
0.000 0.500 0.000 Ag
0.500 0.000 0.000 Ag
0.797 0.661 0.553 Cl
0.297 0.839 0.447 Cl
0.203 0.161 0.947 Cl
0.703 0.339 0.053 Cl
0.203 0.339 0.447 Cl
0.703 0.161 0.553 Cl
0.797 0.839 0.053 Cl
0.297 0.661 0.947 Cl
0.132 0.039 0.675 Cl
0.632 0.461 0.325 Cl
0.868 0.539 0.825 Cl
0.368 0.961 0.175 Cl
0.868 0.961 0.325 Cl
0.368 0.539 0.675 Cl
0.132 0.461 0.175 Cl
0.632 0.039 0.825 Cl
```

=====

3.
An optimized crystal structure of ScGeRu2. Source: the Alexandria database, functional PBE.

Calculated values
The formation energy is -0.5504 eV per atom.

```
ScGeRu2
1.0
-0.898 3.049 -0.186
-0.921 -0.013 4.233
4.053 1.248 0.886
Sc Ru Ge
1 2 1
Direct
0.500 0.500 0.500 Sc
0.000 0.000 0.500 Ru
0.000 0.500 0.000 Ru
0.500 0.000 0.000 Ge
```

=====

4.
An optimized crystal structure of Nd6InCo2Br3. Source: the Alexandria database, functional PBE.

Calculated values
The formation energy (no corrections) comes out at -0.73 eV/atom.

```
Nd6InCo2Br3
1.0
-1.799 -2.763 2.289
8.208 -2.550 3.371
-2.752 8.712 4.836
Nd In Co Br
6 1 2 3
Direct
0.333 0.859 0.666 Nd
0.686 0.570 0.371 Nd
0.667 0.141 0.334 Nd
0.038 0.277 0.076 Nd
0.962 0.723 0.924 Nd
0.314 0.430 0.629 Nd
0.500 0.000 0.000 In
0.826 0.649 0.652 Co
0.174 0.351 0.348 Co
0.500 0.500 0.000 Br
0.829 0.155 0.658 Br
0.171 0.845 0.342 Br
```

=====

no.,uncorrected energy (eV per atom)
1,-6.14
2,-3.01
3,-7.93
4,-4.94

* * * * *

# CrNiPb2 | Alexandria | PBEsol | relaxed
data_CrNiPb2
_chemical_formula_sum 'Cr2 Ni2 Pb4'
_symmetry_space_group_name_H-M 'C 1 2/m 1'
_symmetry_Int_Tables_number 12
_cell_length_a 8.259
_cell_length_b 3.359
_cell_length_c 5.871
_cell_angle_alpha 90.00
_cell_angle_beta 103.92
_cell_angle_gamma 90.00
loop_
_symmetry_equiv_pos_as_xyz
'x,y,z'
'-x,-y,-z'
'-x,y,-z'
'x,-y,z'
'x+1/2,y+1/2,z'
'-x+1/2,-y+1/2,-z'
'-x+1/2,y+1/2,-z'
'x+1/2,-y+1/2,z'
loop_
_atom_site_label
_atom_site_type_symbol
_atom_site_fract_x
_atom_site_fract_y
_atom_site_fract_z
_atom_site_occupancy
Cr1 Cr 0.000 0.000 0.000 1
Ni1 Ni 0.000 0.500 0.500 1
Pb1 Pb 0.239 0.000 0.729 1
# uncorrected energy	-44.4	eV/cell
# M_tot	7.9	Bohr magnetons per cell
# mass density	11.031	g cm⁻³
# calculated formation energy	0.5489	eV per atom